Cryptovaluta wordt crypto-activa, internationale consensus nog niet bereikt Geen verbod crypto’s door G20, aanbevelingen door FATF tegen terrorismefinanciering en witwassen worden overgenomen. Het bericht Cryptovaluta wordt crypto-activa, internationale consensus nog niet bereikt verscheen eerst op Bitcoin Magazine. … Read More
Yoo-Mi PHA Brings Deep Psychology to the Blockchain to Incentivize You to Take Better Care Yourself Blockchain technology has been in existence for nearly ten years now. The technology has remained popular for a lot of reasons over the past years, but it only started emerging as a usable solution to healthcare issues recently. Startups are interested…… Read More
Interview with Dor Konforty, CEO and co-founder of Synereo on Wildspark Blockchain project Dor Konforty is the brain behind Wildspark, an innovative blockchain project that allows “you to share the content you like in a way that rewards both you and its creator using AMP, Synereo’s digital currency”. 1) Hi, briefly tell us…… Read More
Korea Telecom Announces Blockchain For Network Security South Korean telecom provider KT unveiled a new system based on a blockchain security-focused network. … Read More
Column cryptospecialist Pim Piepers: Blockchain voor de baas? Blockchain is zelf de baas Wil je een blockchain maken waar mensen keuzes in kunnen vast leggen, of wil je liever regels zonder menselijke eindverantwoordelijke? Cryptospecialist Pim Piepers geeft daar antwoord op in zijn gloednieuwe column. Het bericht Column cryptospecialist …… Read More
[What comes next are quantum chemistry results, not part of the piece]
1.
A molecular structure, C27H20ClN5O3PdS at a distorted geometry. Source: the OMol25 dataset; level of theory: ωB97M-V with the def2-TZVPD basis set.

Results
LUMO level (alpha / beta)   -3.3 / -5.3 eV
ΔE to the lowest compared entry with this formula, charge and spin   34.0 kcal/mol
Charge   +1
2S+1   2
Kohn-Sham gap (alpha / beta)   7.05 / 5.07 eV

Geometry (Å):
Pd: 0.275 -0.558 -0.866
Cl: -4.029 5.448 -2.626
C: -2.786 4.328 -2.307
C: -1.443 4.771 -2.302
C: -0.446 3.879 -2.082
C: -0.736 2.468 -1.869
O: 0.176 1.642 -1.777
C: -2.137 2.069 -1.784
C: -2.563 0.707 -1.450
N: -1.833 -0.270 -1.074
C: -2.512 -1.510 -0.765
C: -3.757 -1.569 -0.212
C: -4.380 -2.819 0.031
C: -3.732 -3.976 -0.277
C: -2.421 -3.941 -0.816
C: -1.682 -5.114 -1.114
C: -0.417 -5.003 -1.600
C: 0.132 -3.711 -1.778
N: -0.524 -2.612 -1.526
C: -1.803 -2.705 -1.052
C: -3.119 2.993 -2.039
H: -1.235 5.819 -2.474
H: 0.596 4.172 -2.069
H: -3.636 0.549 -1.563
H: -4.273 -0.664 0.083
H: -5.368 -2.838 0.469
H: -4.198 -4.937 -0.094
H: -2.133 -6.083 -0.939
H: 0.182 -5.872 -1.835
H: 1.148 -3.589 -2.136
H: -4.164 2.708 -2.019
O: 0.251 -1.632 1.192
N: 1.338 -2.353 1.400
C: 1.380 -3.131 2.511
C: 2.481 -3.885 2.810
C: 3.582 -3.845 1.953
C: 3.526 -3.056 0.831
C: 2.382 -2.304 0.542
S: 2.312 -1.355 -0.921
H: 0.481 -3.079 3.105
H: 2.477 -4.490 3.705
H: 4.471 -4.423 2.168
H: 4.358 -2.998 0.143
N: 2.796 5.488 3.061
C: 2.518 5.230 1.761
O: 2.419 6.089 0.907
C: 2.294 3.785 1.406
C: 1.506 2.941 2.171
C: 1.238 1.668 1.683
N: 1.712 1.220 0.525
C: 2.514 2.023 -0.177
C: 2.824 3.310 0.213
H: 2.962 6.442 3.334
H: 2.989 4.752 3.715
H: 1.070 3.268 3.106
H: 0.593 0.984 2.224
H: 2.901 1.620 -1.104
H: 3.443 3.948 -0.403

2.
A molecular structure, C27H20F3N3O7S3Ti. Source: the OMol25 dataset; level of theory: ωB97M-V with the def2-TZVPD basis set.

Results
LUMO level (alpha / beta)   4.0 / 4.0 eV
Charge   -2
2S+1   3
Kohn-Sham gap (alpha / beta)   4.74 / 5.79 eV

Geometry (Å):
Ti: 1.079 0.984 -0.400
C: -4.459 -5.503 3.529
O: -4.199 -4.146 3.762
C: -4.690 -3.256 2.821
C: -5.511 -3.610 1.762
C: -5.957 -2.637 0.873
C: -5.602 -1.286 1.000
C: -4.754 -0.960 2.087
C: -4.321 -1.924 2.976
N: -6.154 -0.384 0.108
N: -5.639 0.828 -0.033
C: -4.296 1.083 0.028
C: -3.896 2.361 0.439
C: -2.559 2.752 0.544
C: -1.538 1.892 0.205
O: -0.219 2.188 0.270
C: -1.888 0.628 -0.301
N: -0.828 -0.129 -0.726
C: -1.065 -1.290 -1.298
C: -2.357 -1.779 -1.492
C: -3.433 -1.040 -1.053
C: -3.236 0.193 -0.413
H: -3.948 -6.058 4.314
H: -4.078 -5.826 2.554
H: -5.531 -5.729 3.575
H: -5.818 -4.637 1.611
H: -6.611 -2.911 0.052
H: -4.448 0.067 2.230
H: -3.676 -1.658 3.805
H: -4.682 3.053 0.716
H: -2.305 3.744 0.899
H: -0.196 -1.849 -1.630
H: -2.500 -2.729 -1.989
H: -4.442 -1.393 -1.214
C: 1.471 4.915 -1.718
O: 1.493 3.506 -1.889
C: 1.229 2.967 -3.087
S: 1.080 3.869 -4.471
S: 1.123 1.259 -2.968
H: 0.474 5.305 -1.924
H: 2.185 5.398 -2.384
H: 1.741 5.068 -0.676
F: 2.912 -2.414 2.342
C: 2.748 -2.421 1.018
F: 1.988 -3.488 0.708
F: 3.946 -2.604 0.456
[The quantum chemistry results stop here]
US Treasury Publishes 5 Tips For Blockchain Projects The US Treasury Department has just published five tips for building blockchain projects based on lessons learned during work on a proof-of-concept.… Read More
INTERVIEW Marleen Evertsz (CEO Nxchange): “We gaan gereguleerd ICO-tokens via crypto ruilbeurzen aanbieden” (+video!) Bitcoin Magazine Benelux sprak met Marleen Evertsz, CEO van de aandelenbeurs Nxchange. “We zullen een van de eersten zijn die gereguleerd ICO-tokens aan gaan bieden via crypto-exchanges” Het bericht INTERVIEW Marleen Evertsz (CEO Nxchange): “We g…… Read More
Someone pasted records of molecules at this point:
- - -
# C45H97NO10Sb

C45H97NO10Sb as an isolated structure (wB97M-V/def2-TZVPD, the OMol25 dataset).

```
154
Properties=species:S:1:pos:R:3
C 1.250 2.442 0.027
H -1.257 -7.714 4.795
C 1.761 -8.993 1.261
H 5.434 -8.332 2.695
O 5.288 8.065 3.593
H 0.989 -9.780 -1.059
C 3.292 5.329 -2.221
H 5.163 -6.890 0.159
H -8.051 0.490 1.937
H 4.936 9.156 5.282
H -2.520 4.058 -2.961
H -3.187 -1.940 0.213
H 2.442 9.197 4.976
O -1.425 6.475 -0.719
H -1.713 2.736 -4.039
H -4.936 -8.330 -1.639
H 0.259 -3.097 -2.803
C 0.561 1.423 -2.951
C 4.220 7.144 5.540
H 0.924 1.628 0.807
H -2.395 -6.577 2.987
H 1.484 3.820 -5.039
O -3.438 -6.188 -3.751
H -5.637 -7.508 -3.053
C 1.336 -7.289 -0.535
H 1.557 8.898 0.197
H 6.985 -9.104 2.291
C -0.290 0.076 -3.330
O -2.764 -5.881 3.557
H -1.432 -0.699 -1.426
H 5.198 -9.696 0.626
C -1.590 4.005 -0.123
H -2.549 -7.688 -0.878
C -4.707 -7.881 -2.610
H 3.930 5.781 -3.093
H 6.275 8.923 -0.322
H 3.286 9.813 3.536
H 0.589 -6.882 -1.225
H -1.874 -7.382 6.429
H -4.108 -5.965 -1.836
H 4.662 8.573 -2.091
H 0.120 4.684 -3.476
H -2.776 -3.400 -3.309
C -1.117 5.514 0.196
O 3.913 8.924 -1.581
H -3.152 0.092 2.324
C -0.750 -2.545 -2.568
C 1.810 3.840 0.671
H -3.070 -6.884 -4.320
H -4.767 -3.229 1.516
H -3.066 0.783 -2.688
H 1.616 1.106 -2.553
C -1.898 -2.721 -3.749
H 1.712 -6.476 0.094
H -5.741 -0.574 -2.299
C -2.388 -7.258 -1.872
C 0.011 7.417 1.186
H 4.850 7.381 3.060
O -2.469 -2.021 0.864
H 5.385 11.876 -0.938
H 2.299 7.121 0.630
C 6.808 -8.764 -0.457
H 2.162 -7.665 -1.150
H 3.445 4.014 -4.905
H -0.990 -6.134 5.520
C -3.819 -0.773 2.413
O -0.435 6.015 1.416
H 0.447 -0.971 -1.372
H 4.263 11.471 -2.257
H -4.331 -8.666 -3.277
O -0.634 8.465 1.736
H -4.262 -8.024 5.669
H -7.299 -1.439 -0.064
H -1.658 3.418 0.915
C -6.156 2.952 -0.474
H -4.930 3.422 -3.079
C -4.032 -7.575 4.697
H 0.353 -0.496 -4.158
H 5.835 10.687 -2.182
H -4.421 -3.346 3.257
H 2.150 -8.231 1.944
N 2.244 3.766 2.001
H 6.400 -9.007 -1.444
H 4.991 8.552 0.820
C -3.238 1.905 -2.403
C -3.055 -2.064 2.162
C 0.668 4.468 -2.437
O 4.726 -7.757 0.199
H 2.616 8.187 3.522
H -0.116 -8.013 0.878
H -3.222 1.946 -1.212
H 2.288 5.487 -4.692
C 5.434 9.360 0.229
H 2.661 3.152 -2.413
C -3.967 -3.276 2.264
H 0.687 2.038 -3.964
H 1.816 4.872 0.102
H 6.712 -7.379 1.953
H -1.302 0.365 -3.894
C 2.393 4.316 -4.482
H -4.613 -0.637 1.671
H 2.747 6.114 -1.547
H 1.317 -9.801 1.852
H 3.579 7.360 6.400
H 2.126 2.762 2.332
C -0.495 -0.992 -2.104
H -5.823 4.084 -0.652
H 7.566 -9.510 -0.198
H 2.149 1.952 -0.587
H -4.268 -0.768 3.411
H -1.396 -3.329 -4.616
C -7.000 -0.291 -0.148
H 7.295 -7.787 -0.549
H -3.434 -5.659 5.471
H 3.557 10.339 -0.154
C 4.408 9.950 -0.725
H -3.657 -8.359 4.030
H 2.602 -9.429 0.710
C -2.101 2.948 -2.956
C 2.262 4.164 -2.838
C 4.433 8.385 4.688
C -6.106 0.191 -1.458
H 3.759 6.341 4.953
H -2.399 -1.716 -4.080
C -3.693 -6.757 -2.469
H -1.202 -3.101 -1.613
H -4.962 -7.202 4.254
H -1.931 -8.020 -2.513
C -5.731 1.785 -1.550
O 0.240 -9.428 -0.549
H 5.178 6.758 5.904
C -3.019 -6.451 4.838
- - -
Dank Signals Offers Exception Cryptocurrency Trading Education Dank Signals is one of the major players in the cryptocurrency trading market with a unique platform and exceptional technical services, Dank Signals provides you with an exceptional offer and opportunity in cryptocurrency trading. In spite of all of …… Read More
'''
The following is a DFT calculation (the ωB97M-V functional and the def2-TZVPD basis) of 8 unconnected molecules or ions with the total composition C71H151F3N6O5.

Geometry (Å):
H  9.1732  -11.4118  1.7070
H  21.3368  6.6302  3.3548
H  8.0344  4.6249  -1.2461
N  28.6044  -4.0206  -3.2797
H  9.5257  3.3092  -0.0988
H  13.1326  -14.5576  -9.9013
C  21.0388  8.1677  -2.3627
H  12.8688  2.4926  -3.7864
H  13.2524  5.0582  -2.7072
H  8.8391  -8.5497  4.6810
H  21.1164  -9.0718  -1.4972
H  11.7277  -9.1715  -8.0167
H  21.8908  6.2917  -3.0421
C  12.4710  2.6480  0.7937
C  13.5546  4.2182  -0.8873
C  13.1479  -12.3452  -10.3553
H  9.7324  -9.9253  -6.8608
H  22.8041  -14.6518  -2.0764
H  20.5840  -12.8027  -4.9771
H  26.4907  -3.7993  -2.7131
H  14.3438  3.6793  -0.3630
H  28.0282  -4.1642  -0.3652
C  25.7110  5.4999  -2.8986
H  26.7268  -3.1230  -5.9404
H  29.4610  -5.5050  -4.5454
H  8.1176  4.5613  1.3437
H  22.7581  3.2604  -11.1721
C  28.8214  -1.4793  0.5777
H  13.3657  -7.9099  -6.9085
O  20.5498  -1.5559  -2.2142
H  9.3529  -6.5622  1.7812
H  11.6939  5.3357  0.6996
C  21.9713  -15.6920  -0.4252
H  10.3633  -10.3240  4.0488
H  11.3424  -8.2740  2.1802
H  23.2613  7.8169  -0.6715
H  32.1153  -6.2415  -3.9632
C  24.4581  4.9188  -2.2614
H  9.4432  -11.5530  -6.2815
F  23.9406  0.6906  -10.8566
O  21.5696  1.9758  -10.1013
H  13.6899  5.2520  -0.5694
C  26.6443  -4.8226  -4.4928
H  27.0194  6.8553  -1.8340
H  11.3363  -12.1573  -7.8076
H  19.4028  -2.4296  -2.9340
C  9.6125  -10.4727  2.0434
H  23.7147  4.0015  0.2182
C  20.4974  -9.9474  -1.3015
H  21.4310  -16.4635  -0.9739
H  21.4268  -14.1047  -4.1474
H  13.5486  2.0562  -2.2610
H  22.7526  -13.7208  -0.6161
H  19.9532  -9.6254  -0.4136
H  22.4850  4.6467  -0.7207
C  21.9523  -12.1525  -3.3793
C  26.3938  5.9872  -1.6267
C  8.8381  -9.3154  1.3867
C  9.9378  4.1005  0.5273
C  9.4007  -10.3292  3.5376
H  22.3093  6.7502  1.0142
O  22.6804  3.8550  -9.2237
N  13.4250  -10.3015  -8.7251
H  21.1521  -13.0220  -7.3673
H  13.1673  -9.5803  -10.6650
H  18.6410  -9.8463  -2.3843
C  11.7465  2.8517  -1.7867
H  11.0182  -8.3039  3.9236
C  7.0262  -7.7963  2.3349
H  14.9491  -11.5947  -9.3628
H  6.9423  -7.0346  4.3500
H  14.6939  3.8726  -2.7858
C  9.8501  -10.9789  -7.1139
C  21.5446  -13.1017  -4.5576
C  10.9809  -7.6879  3.0252
H  22.9434  -16.1608  -0.2727
H  13.0146  -6.8307  3.4603
H  22.9474  -12.2544  -2.9464
C  22.0329  -13.5728  -7.0374
H  21.9704  3.9003  2.1597
H  30.6311  -2.4410  0.0680
H  15.3230  -10.0597  -7.7346
C  21.6107  4.9220  2.0373
H  7.4777  -9.4895  3.9950
C  13.8171  -7.8669  -9.1208
H  20.2458  -14.3400  -2.3609
C  13.9005  -11.7506  -9.1094
H  20.3417  5.1875  3.7345
H  7.2067  5.9570  -0.3052
H  19.7972  0.0598  -9.7707
H  20.8921  -11.5630  -0.0235
H  29.9192  -3.3658  1.2788
H  21.6210  8.8938  -2.9302
H  20.1168  -13.7539  -0.7125
H  4.7160  -7.7801  3.6967
H  13.4016  -11.7832  -11.2541
O  18.5806  -2.3438  -2.4458
C  20.7664  -13.7751  -1.5875
'''
Litepay voorlopig van de baan wegens creditcardmaatschappijen Litecoin’s Litepay zou op 26 februari live gaan. Het had het gat kunnen dichten tussen cryptovaluta’s en dagelijkse uitgaven in fiat geld, maar het mocht niet zo zijn. Het bericht Litepay voorlopig van de baan wegens creditcardmaatschappijen verscheen …… Read More
Who Are the Revolutionary Synthium Health Team Members? Times are changing and so is the digital world. Synthium Health is leading the world on a journey and this has been made possible by the awesome minds behind it. You definitely want to know about them, so here they are: The CEO, Vijay Reddy, has experi…… Read More